Excerpt.
____________
Entry from Alexandria: a relaxed HgCl crystal (PBEsol).

Cell lengths 4.400, 4.400, 6.301 Å; angles 110.43, 110.43, 90.00 degrees
Fractional coordinates of all 4 atoms:
Hg  0.117  0.117  0.234
Hg  0.883  0.883  0.766
Cl  0.660  0.660  0.320
Cl  0.340  0.340  0.680

Output
E_form (uncorrected) (eV per atom): -0.510
Energy above the lowest structure with this stoichiometry (meV/atom): 0.0
Symmetry: I4/mmm
Crystal system: tetragonal
Total energy (eV for the cell shown): -7.191

Entry from Alexandria: a relaxed HgCl3 crystal (PBEsol).

Cell lengths 4.901, 4.903, 4.903 Å; angles 70.52, 70.54, 109.46 degrees
Fractional coordinates of all 4 atoms:
Cl  0.000  0.000  0.500
Cl  0.500  0.500  0.500
Cl  0.000  0.500  0.000
Hg  0.500  0.000  0.000

Output
E_form (uncorrected) (eV per atom): 0.082
Symmetry: Im-3m
Crystal system: cubic
Total energy (eV for the cell shown): -6.262

Entry from Alexandria: a relaxed Hg3Cl crystal (PBEsol).

Cell lengths 4.003, 4.003, 7.657 Å; angles 74.85, 74.85, 60.00 degrees
Fractional coordinates of all 4 atoms:
Hg  0.752  0.752  0.745
Hg  0.248  0.248  0.255
Hg  0.500  0.500  0.500
Cl  0.000  0.000  0.000

Output
E_form (uncorrected) (eV per atom): -0.190
Energy above the lowest structure with this stoichiometry (meV/atom): 0.0
Symmetry: R-3m
Crystal system: trigonal
Total energy (eV for the cell shown): -4.469

Entry from Alexandria: a relaxed HgCl crystal (PBEsol).

Cell lengths 4.113, 4.113, 4.131 Å; angles 60.14, 60.14, 60.00 degrees
Fractional coordinates of all 2 atoms:
Hg  0.500  0.500  0.500
Cl  0.000  0.000  0.000

Output
E_form (uncorrected) (eV per atom): -0.185
Energy above the lowest structure with this stoichiometry (meV/atom): 325.8
Symmetry: R-3m
Crystal system: trigonal
Total energy (eV for the cell shown): -2.944

Entry from Alexandria: a relaxed HgCl2 crystal (PBEsol).

Cell lengths 3.835, 6.112, 6.627 Å; angles 90.00, 90.00, 90.00 degrees
Fractional coordinates of all 6 atoms:
Hg  0.500  0.500  0.500
Hg  0.000  0.000  0.000
Cl  0.000  0.739  0.355
Cl  0.500  0.239  0.145
Cl  0.500  0.761  0.855
Cl  0.000  0.261  0.645

Output
E_form (uncorrected) (eV per atom): -0.541
Symmetry: Pnnm
Crystal system: orthorhombic
Total energy (eV for the cell shown): -12.414

Entry from Alexandria: a relaxed Hg2Cl crystal (PBEsol).

Cell lengths 3.755, 3.581, 11.171 Å; angles 80.78, 90.00, 90.00 degrees
Fractional coordinates of all 6 atoms:
Cl  0.750  0.882  0.236
Cl  0.250  0.118  0.764
Hg  0.250  0.452  0.096
Hg  0.250  0.780  0.439
Hg  0.750  0.548  0.904
Hg  0.750  0.220  0.561

Output
E_form (uncorrected) (eV per atom): -0.198
Energy above the lowest structure with this stoichiometry (meV/atom): 98.8
Symmetry: Cmcm
Crystal system: orthorhombic
Total energy (eV for the cell shown): -7.471

Which of these has the highest total energy?
number 4

Which value of E_form (uncorrected) does entry 2 give?
0.082 eV per atom

E_form (uncorrected) of number 2 (HgCl3)?
0.082 eV per atom

----------

# 1
Al2ReP: optimized geometry, PBE.

Summary:
Crystal system: tetragonal
E_form in meV per atom: -112
DOS at the Fermi energy in states/eV/atom: 0.33

abc: 3.0314 3.0314 6.6172
angles: 90.00 90.00 90.00
Space group P4mm (No. 99)
Symmetry-distinct sites (fractional):
Al: 0.0000 0.0000 0.0000 [1 per cell]
Al: 0.5000 0.5000 0.2939 [1 per cell]
Re: 0.5000 0.5000 0.7348 [1 per cell]
P: 0.0000 0.0000 0.5644 [1 per cell]

---

# 2
AlRe2P: optimized geometry, PBE.

Summary:
Crystal system: orthorhombic
E_form in meV per atom: 236
Energy above the lowest structure with this stoichiometry in kJ/mol of formula units: 164
DOS at the Fermi energy in states/eV/atom: 0.63

abc: 3.0345 3.9876 4.7526
angles: 90.00 90.00 90.00
Space group Pmmm (No. 47)
Symmetry-distinct sites (fractional):
Al: 0.0000 0.0000 0.0000 [1 per cell]
Re: 0.0000 0.5000 0.5000 [1 per cell]
Re: 0.5000 0.5000 0.0000 [1 per cell]
P: 0.5000 0.0000 0.5000 [1 per cell]

---

# 3
Al4ReP: optimized geometry, PBE.

Summary:
Crystal system: cubic
____________

Wanted.
Could you give back everything further up without altering anything?

Solution.
Entry from Alexandria: a relaxed HgCl crystal (PBEsol).

Cell lengths 4.400, 4.400, 6.301 Å; angles 110.43, 110.43, 90.00 degrees
Fractional coordinates of all 4 atoms:
Hg  0.117  0.117  0.234
Hg  0.883  0.883  0.766
Cl  0.660  0.660  0.320
Cl  0.340  0.340  0.680

Output
E_form (uncorrected) (eV per atom): -0.510
Energy above the lowest structure with this stoichiometry (meV/atom): 0.0
Symmetry: I4/mmm
Crystal system: tetragonal
Total energy (eV for the cell shown): -7.191

Entry from Alexandria: a relaxed HgCl3 crystal (PBEsol).

Cell lengths 4.901, 4.903, 4.903 Å; angles 70.52, 70.54, 109.46 degrees
Fractional coordinates of all 4 atoms:
Cl  0.000  0.000  0.500
Cl  0.500  0.500  0.500
Cl  0.000  0.500  0.000
Hg  0.500  0.000  0.000

Output
E_form (uncorrected) (eV per atom): 0.082
Symmetry: Im-3m
Crystal system: cubic
Total energy (eV for the cell shown): -6.262

Entry from Alexandria: a relaxed Hg3Cl crystal (PBEsol).

Cell lengths 4.003, 4.003, 7.657 Å; angles 74.85, 74.85, 60.00 degrees
Fractional coordinates of all 4 atoms:
Hg  0.752  0.752  0.745
Hg  0.248  0.248  0.255
Hg  0.500  0.500  0.500
Cl  0.000  0.000  0.000

Output
E_form (uncorrected) (eV per atom): -0.190
Energy above the lowest structure with this stoichiometry (meV/atom): 0.0
Symmetry: R-3m
Crystal system: trigonal
Total energy (eV for the cell shown): -4.469

Entry from Alexandria: a relaxed HgCl crystal (PBEsol).

Cell lengths 4.113, 4.113, 4.131 Å; angles 60.14, 60.14, 60.00 degrees
Fractional coordinates of all 2 atoms:
Hg  0.500  0.500  0.500
Cl  0.000  0.000  0.000

Output
E_form (uncorrected) (eV per atom): -0.185
Energy above the lowest structure with this stoichiometry (meV/atom): 325.8
Symmetry: R-3m
Crystal system: trigonal
Total energy (eV for the cell shown): -2.944

Entry from Alexandria: a relaxed HgCl2 crystal (PBEsol).

Cell lengths 3.835, 6.112, 6.627 Å; angles 90.00, 90.00, 90.00 degrees
Fractional coordinates of all 6 atoms:
Hg  0.500  0.500  0.500
Hg  0.000  0.000  0.000
Cl  0.000  0.739  0.355
Cl  0.500  0.239  0.145
Cl  0.500  0.761  0.855
Cl  0.000  0.261  0.645

Output
E_form (uncorrected) (eV per atom): -0.541
Symmetry: Pnnm
Crystal system: orthorhombic
Total energy (eV for the cell shown): -12.414

Entry from Alexandria: a relaxed Hg2Cl crystal (PBEsol).

Cell lengths 3.755, 3.581, 11.171 Å; angles 80.78, 90.00, 90.00 degrees
Fractional coordinates of all 6 atoms:
Cl  0.750  0.882  0.236
Cl  0.250  0.118  0.764
Hg  0.250  0.452  0.096
Hg  0.250  0.780  0.439
Hg  0.750  0.548  0.904
Hg  0.750  0.220  0.561

Output
E_form (uncorrected) (eV per atom): -0.198
Energy above the lowest structure with this stoichiometry (meV/atom): 98.8
Symmetry: Cmcm
Crystal system: orthorhombic
Total energy (eV for the cell shown): -7.471

Which of these has the highest total energy?
number 4

Which value of E_form (uncorrected) does entry 2 give?
0.082 eV per atom

E_form (uncorrected) of number 2 (HgCl3)?
0.082 eV per atom

----------

# 1
Al2ReP: optimized geometry, PBE.

Summary:
Crystal system: tetragonal
E_form in meV per atom: -112
DOS at the Fermi energy in states/eV/atom: 0.33

abc: 3.0314 3.0314 6.6172
angles: 90.00 90.00 90.00
Space group P4mm (No. 99)
Symmetry-distinct sites (fractional):
Al: 0.0000 0.0000 0.0000 [1 per cell]
Al: 0.5000 0.5000 0.2939 [1 per cell]
Re: 0.5000 0.5000 0.7348 [1 per cell]
P: 0.0000 0.0000 0.5644 [1 per cell]

---

# 2
AlRe2P: optimized geometry, PBE.

Summary:
Crystal system: orthorhombic
E_form in meV per atom: 236
Energy above the lowest structure with this stoichiometry in kJ/mol of formula units: 164
DOS at the Fermi energy in states/eV/atom: 0.63

abc: 3.0345 3.9876 4.7526
angles: 90.00 90.00 90.00
Space group Pmmm (No. 47)
Symmetry-distinct sites (fractional):
Al: 0.0000 0.0000 0.0000 [1 per cell]
Re: 0.0000 0.5000 0.5000 [1 per cell]
Re: 0.5000 0.5000 0.0000 [1 per cell]
P: 0.5000 0.0000 0.5000 [1 per cell]

---

# 3
Al4ReP: optimized geometry, PBE.

Summary:
Crystal system: cubic